-- File --
~~~
Record 1
The following is a DFT calculation (wB97M-V/def2-TZVPD) of a structure of composition C3H2CaFO2 at a distorted geometry.

Each line ends with the natural charge from an NBO analysis.
CARTESIAN COORDINATES (ANGSTROEM)
F: 1.818 0.439 -0.402  -0.40
O: -0.247 1.016 0.625  -0.57
O: -0.087 0.262 -1.615  -1.02
C: -0.328 -0.162 1.370  0.13
C: 0.308 -0.992 0.517  -0.37
C: 0.399 0.191 -0.436  0.82
H: -1.022 -0.243 2.206  0.20
H: 0.463 -2.061 0.408  0.22
Ca: -1.304 1.550 -2.673  0.98

Summary:
HOMO-LUMO gap (alpha / beta): 5.830 / 8.317 eV
highest occupied orbital energy (alpha / beta): -0.2161 / -0.3141 hartree
lowest unoccupied orbital energy (alpha / beta): -0.05 / -0.23 eV
spin multiplicity: 2
ΔE to the lowest compared entry with this formula, charge and spin: 0.0 kcal per mole
total energy: -28392.0414 eV

Record 2
The following is a DFT calculation (wB97M-V/def2-TZVPD) of a structure of composition C42H45N2O3PtSb2 at a distorted geometry.

Each line ends with the Mulliken charge.
CARTESIAN COORDINATES (ANGSTROEM)
Pt: -0.407 0.660 0.321  2.90
O: 0.904 7.310 2.334  -0.50
C: 0.959 6.241 3.242  -0.55
C: 0.702 4.941 2.535  0.00
C: 0.683 3.741 3.247  -0.92
C: 0.409 2.574 2.570  -0.44
N: 0.159 2.535 1.264  0.13
C: 0.187 3.675 0.550  0.39
C: 0.471 4.892 1.169  -0.44
C: -0.111 3.558 -0.884  0.49
C: -0.233 4.657 -1.733  -0.67
C: -0.507 4.463 -3.081  0.40
C: -0.581 5.641 -4.015  -0.95
O: 0.673 6.266 -4.138  -0.49
C: -0.634 3.160 -3.547  -0.94
C: -0.535 2.123 -2.641  -0.68
N: -0.281 2.311 -1.355  0.21
H: 1.123 8.132 2.789  0.32
H: 0.204 6.355 4.037  0.32
H: 1.943 6.187 3.734  0.35
H: 0.868 3.726 4.309  0.49
H: 0.367 1.626 3.090  0.36
H: 0.491 5.819 0.621  0.65
H: -0.130 5.664 -1.365  0.52
H: -1.254 6.400 -3.610  0.36
H: -0.967 5.320 -4.989  0.35
H: 1.298 5.646 -4.535  0.33
H: -0.812 2.952 -4.590  0.42
H: -0.653 1.101 -2.970  0.51
C: 1.000 -2.870 2.340  -1.56
C: 2.359 -2.771 1.675  -0.22
C: 2.900 -1.348 1.594  -1.25
Sb: 2.310 -0.174 -0.170  0.79
C: 4.165 -0.220 -1.295  0.51
C: 5.155 -1.169 -1.096  -0.28
C: 6.236 -1.234 -1.960  -0.73
C: 6.333 -0.355 -3.024  -0.49
C: 5.351 0.601 -3.217  -0.60
C: 4.273 0.668 -2.352  -0.61
C: 1.423 -1.533 -1.602  1.28
C: 0.114 -1.289 -1.992  -0.86
C: -0.454 -1.987 -3.043  -0.65
C: 0.290 -2.941 -3.716  -0.79
C: 1.591 -3.202 -3.324  -0.84
C: 2.158 -2.497 -2.277  -0.66
Sb: -0.672 -1.797 1.401  -0.02
C: -1.243 -3.213 -0.109  0.77
C: -0.418 -4.261 -0.482  -1.00
C: -0.838 -5.173 -1.438  -0.70
C: -2.091 -5.054 -2.010  -0.71
C: -2.927 -4.019 -1.625  -0.66
C: -2.500 -3.094 -0.688  0.06
C: -2.026 -2.495 2.911  0.68
C: -2.778 -3.631 2.657  -0.24
C: -3.509 -4.230 3.667  -0.78
C: -3.495 -3.695 4.944  -0.58
C: -2.772 -2.541 5.193  -0.68
C: -2.040 -1.942 4.182  -0.54
H: 1.053 -2.504 3.368  0.72
H: 0.676 -3.909 2.387  0.66
H: 2.321 -3.214 0.676  -0.03
H: 3.058 -3.378 2.262  0.57
H: 3.990 -1.350 1.597  0.50
H: 2.571 -0.770 2.462  0.53
H: 5.085 -1.871 -0.275  0.25
H: 7.002 -1.980 -1.801  0.41
H: 7.172 -0.418 -3.701  0.39
H: 5.426 1.291 -4.044  0.40
H: 3.502 1.414 -2.505  0.39
H: -0.506 -0.559 -1.451  0.42
H: -1.477 -1.790 -3.328  0.51
H: -0.147 -3.487 -4.539  0.43
H: 2.176 -3.947 -3.843  0.44
H: 3.181 -2.702 -1.992  0.45
H: 0.559 -4.380 -0.035  0.13
H: -0.181 -5.980 -1.729  0.45
H: -2.418 -5.770 -2.750  0.40
H: -3.916 -3.934 -2.053  0.47
H: -3.137 -2.270 -0.399  0.17
H: -2.788 -4.059 1.664  0.42
H: -4.077 -5.123 3.455  0.44
H: -4.045 -4.178 5.738  0.40
H: -2.768 -2.115 6.185  0.43
H: -1.474 -1.042 4.390  0.38
C: -3.706 1.896 0.681  -1.33
C: -3.347 0.528 1.271  0.82
C: -4.606 -0.298 1.576  -1.56
O: -2.523 -0.181 0.420  -1.13
H: -4.253 2.481 1.412  0.44
H: -4.310 1.770 -0.213  0.34
H: -2.788 2.423 0.408  0.17
H: -2.824 0.696 2.238  -0.06
H: -5.176 -0.469 0.667  0.37
H: -5.225 0.226 2.297  0.46
H: -4.316 -1.259 1.996  0.21

Summary:
HOMO-LUMO gap (alpha / beta): 6.427 / 6.308 eV
highest occupied orbital energy (alpha / beta): -0.3765 / -0.3638 hartree
lowest unoccupied orbital energy (alpha / beta): -3.82 / -3.59 eV
~~~

-- Assignment --
Write out the lines above up to the one that holds "-0.454 -1.987", that line included.

-- Solution --
Record 1
The following is a DFT calculation (wB97M-V/def2-TZVPD) of a structure of composition C3H2CaFO2 at a distorted geometry.

Each line ends with the natural charge from an NBO analysis.
CARTESIAN COORDINATES (ANGSTROEM)
F: 1.818 0.439 -0.402  -0.40
O: -0.247 1.016 0.625  -0.57
O: -0.087 0.262 -1.615  -1.02
C: -0.328 -0.162 1.370  0.13
C: 0.308 -0.992 0.517  -0.37
C: 0.399 0.191 -0.436  0.82
H: -1.022 -0.243 2.206  0.20
H: 0.463 -2.061 0.408  0.22
Ca: -1.304 1.550 -2.673  0.98

Summary:
HOMO-LUMO gap (alpha / beta): 5.830 / 8.317 eV
highest occupied orbital energy (alpha / beta): -0.2161 / -0.3141 hartree
lowest unoccupied orbital energy (alpha / beta): -0.05 / -0.23 eV
spin multiplicity: 2
ΔE to the lowest compared entry with this formula, charge and spin: 0.0 kcal per mole
total energy: -28392.0414 eV

Record 2
The following is a DFT calculation (wB97M-V/def2-TZVPD) of a structure of composition C42H45N2O3PtSb2 at a distorted geometry.

Each line ends with the Mulliken charge.
CARTESIAN COORDINATES (ANGSTROEM)
Pt: -0.407 0.660 0.321  2.90
O: 0.904 7.310 2.334  -0.50
C: 0.959 6.241 3.242  -0.55
C: 0.702 4.941 2.535  0.00
C: 0.683 3.741 3.247  -0.92
C: 0.409 2.574 2.570  -0.44
N: 0.159 2.535 1.264  0.13
C: 0.187 3.675 0.550  0.39
C: 0.471 4.892 1.169  -0.44
C: -0.111 3.558 -0.884  0.49
C: -0.233 4.657 -1.733  -0.67
C: -0.507 4.463 -3.081  0.40
C: -0.581 5.641 -4.015  -0.95
O: 0.673 6.266 -4.138  -0.49
C: -0.634 3.160 -3.547  -0.94
C: -0.535 2.123 -2.641  -0.68
N: -0.281 2.311 -1.355  0.21
H: 1.123 8.132 2.789  0.32
H: 0.204 6.355 4.037  0.32
H: 1.943 6.187 3.734  0.35
H: 0.868 3.726 4.309  0.49
H: 0.367 1.626 3.090  0.36
H: 0.491 5.819 0.621  0.65
H: -0.130 5.664 -1.365  0.52
H: -1.254 6.400 -3.610  0.36
H: -0.967 5.320 -4.989  0.35
H: 1.298 5.646 -4.535  0.33
H: -0.812 2.952 -4.590  0.42
H: -0.653 1.101 -2.970  0.51
C: 1.000 -2.870 2.340  -1.56
C: 2.359 -2.771 1.675  -0.22
C: 2.900 -1.348 1.594  -1.25
Sb: 2.310 -0.174 -0.170  0.79
C: 4.165 -0.220 -1.295  0.51
C: 5.155 -1.169 -1.096  -0.28
C: 6.236 -1.234 -1.960  -0.73
C: 6.333 -0.355 -3.024  -0.49
C: 5.351 0.601 -3.217  -0.60
C: 4.273 0.668 -2.352  -0.61
C: 1.423 -1.533 -1.602  1.28
C: 0.114 -1.289 -1.992  -0.86
C: -0.454 -1.987 -3.043  -0.65